View Full Version : Phew

Jon K
23-02-07, 00:00
Hi people.

I've just been convinced that what's happening to me is panic attacks, and right now I'm basically feeling very relieved.

I had my first panic attack two days ago, at work. I started feeling off-colour and worked myself up through hyperventilation to palpatations, which felt so horrible I (being alone in the office at that time) called the emergency number. Security came to my desk, and I calmed down enough to regain my breath and convince myself it was over.

I got a taxi to the hospital to be sure, and after a long, nervy wait (and lots of cups of water!) I was given a couple of ECGs and had a blood sample taken. They asked lots of questions about stress, but the thing is, I really don't think I've been under *any* - which me doubt that was the cause. Eventually I was discharged, still without really knowing what was going on.

Over the last couple of days, I've felt OK a lot of the time, getting more tense and anxious as the day wears on, and also when trying to sleep (in part because I can hear my heartbeat!) I've had recurring pains in my chest and arms too, tingling sensations in my hands, arms and chest, dizzy spells and shaking.

I started worrying again, so today I called NHS Direct (0845-4647) and I am so impressed with the level of care and attention. The nurse answered all my questions very politely, making absolutely certain I was OK, joking along with me, and I didn't feel at all rushed in the 35 minutes I was on the phone. It was the first time I heard anyone mention panic attacks since it all started. I really can't recommend that service enough.

So here I am, still a bit bemused about what has triggered this whole thing, but much more relaxed for the knowledge. I plan to cut out coffee (which I had been consuming a lot of in the week running up to my attack) and limit my alcohol intake, and just see where things go from here...

~~~
! PBE-GGA NdAu3, relaxed; values from VASP
&SYSTEM
  ibrav = 0, nat = 8, ntyp = 2
/
ATOMIC_SPECIES
Nd 144.24 Nd.upf
Au 196.97 Au.upf
CELL_PARAMETERS angstrom
6.500 0.000 0.000
-3.250 5.629 0.000
0.000 0.000 4.861
ATOMIC_POSITIONS crystal
Nd 0.333 0.667 0.250
Nd 0.667 0.333 0.750
Au 0.156 0.312 0.750
Au 0.156 0.844 0.750
Au 0.312 0.156 0.250
Au 0.688 0.844 0.750
Au 0.844 0.156 0.250
Au 0.844 0.688 0.250
! Energy (eV per atom): -4.2977

=====

! PBE-GGA Nd3Au4, relaxed; values from VASP
&SYSTEM
  ibrav = 0, nat = 14, ntyp = 2
/
ATOMIC_SPECIES
Nd 144.24 Nd.upf
Au 196.97 Au.upf
CELL_PARAMETERS angstrom
6.978 4.028 2.069
-6.978 4.028 2.069
0.000 -8.057 2.069
ATOMIC_POSITIONS crystal
Nd 0.015 0.271 0.399
Nd 0.271 0.399 0.015
Nd 0.399 0.015 0.271
Nd 0.601 0.985 0.729
Nd 0.729 0.601 0.985
Nd 0.985 0.729 0.601
Au 0.000 0.000 0.000
Au 0.071 0.562 0.233
Au 0.233 0.071 0.562
Au 0.438 0.767 0.929
Au 0.500 0.500 0.500
Au 0.562 0.233 0.071
Au 0.767 0.929 0.438
Au 0.929 0.438 0.767
! Energy (eV per atom): -4.7230

=====

! PBE-GGA NdAu3, relaxed; values from VASP
&SYSTEM
  ibrav = 0, nat = 4, ntyp = 2
/
ATOMIC_SPECIES
Nd 144.24 Nd.upf
Au 196.97 Au.upf
CELL_PARAMETERS angstrom
0.000 3.533 3.533
3.533 0.000 3.533
3.533 3.533 0.000
ATOMIC_POSITIONS crystal
Nd 0.000 0.000 0.000
Au 0.250 0.250 0.250
Au 0.500 0.500 0.500
Au 0.750 0.750 0.750
! Energy (eV per atom): -4.2831

=====

Q: Which formula does entry 2 have?
A: Nd3Au4

=====

Q: Among the records above, which one has the lowest energy?
A: Nd3Au4

=====

Q: energy of number 2 (Nd3Au4)?
A: -4.7230 eV per atom

=====

Q: Which of these has the lowest energy?
A: Nd3Au4


First-principles (PBE-GGA) data for an optimized crystal structure of NdIn6Cu6, as listed in the Materials Project database.

abc: 7.1054 7.1054 7.1054
angles: 133.90 99.13 98.51
Closest atoms and distances in Å follow each position.
Fractional positions:
Nd1 0.0000 0.0000 0.0000  8 In 3.11-3.29
Cu1 0.2307 0.5000 0.7307  4 Cu 2.71, 6 In 2.76-2.95
In1 0.6621 0.0000 0.6621  6 Cu 2.82-2.95, 1 In 2.99, 1 Nd 3.11
In2 0.3446 0.3446 0.0000  6 Cu 2.83-2.87, 3 In 2.88-3.13
Cu2 0.0000 0.0000 0.5000  4 Cu 2.71-2.78, 6 In 2.75-2.83
In3 0.6554 0.6554 0.0000  6 Cu 2.83-2.87, 3 In 2.88-3.13
In4 0.3379 0.0000 0.3379  6 Cu 2.82-2.95, 1 In 2.99, 1 Nd 3.11
Cu3 0.5000 0.5000 0.5000  4 Cu 2.71-2.78, 6 In 2.75-2.83
In5 0.1902 0.6902 0.5000  6 Cu 2.75-2.76
In6 0.8098 0.3098 0.5000  6 Cu 2.75-2.76
Cu4 0.0000 0.5000 0.0000  4 Cu 2.71-2.78, 6 In 2.75-2.83
Cu5 0.7693 0.5000 0.2693  4 Cu 2.71, 6 In 2.76-2.95
Cu6 0.5000 0.0000 0.0000  4 Cu 2.71-2.78, 6 In 2.75-2.83

Computed properties:
As for the electronic total energy: -47.7 eV for the cell shown. As for the energy of formation from the pure elements: -171.5 kJ/mol of formula units. The total magnetization is 0.00 μB per formula unit. The calculation puts the density at 8.5 Mg/m³.


First-principles (PBE-GGA) data for an optimized crystal structure of Rb2PS3, as listed in the Materials Project database.
~~~

What I need now is a good massage to get rid of some tension!

23-02-07, 00:05
Hi Jon,

A big warm welcome to you. xx

23-02-07, 00:24
Hi Jon and welcome!

Yes, it certainly sounds like panic - horrible isn't it? However, you have the right attitude in trying a few things out to see if it makes a difference.

A panic attack is often a kind of "shot across the bow" to make you aware that you are under stress, even if you don't particularly feel like it at the time. It's worth taking the time to assess things to try to identify what your stressors might be. Could be anything from something unresolved in the past, to not making progress towards your particular goals, or something more immediate like not actually liking your job!

Hope you feel better soon.

Eeb x

23-02-07, 06:44
Elo Jon,
Welcome to the site...great support n advice here..you will find it very helpful..glad to have ya on board hun x

23-02-07, 07:44
Hi Jon,

This certainly sounds like anxiety. Your quote that you don't feel anxious or under stress is common to many when they first develop anxiety.

These materials data were left in the piece by mistake:
........
# Na3InSb2 PBE-GGA relaxed
data_Na3InSb2
_space_group_name_H-M_alt 'P 1'
_space_group_IT_number 1
_cell_length_a 8.0385
_cell_length_b 10.4619
_cell_length_c 16.8373
_cell_angle_alpha 87.20
_cell_angle_beta 90.00
_cell_angle_gamma 90.00
loop_
_space_group_symop_operation_xyz
'x,y,z'
loop_
_atom_site_label
_atom_site_fract_x
_atom_site_fract_y
_atom_site_fract_z
Na1 0.8449 0.1282 0.2980
Na2 0.3449 0.8718 0.2020
Na3 0.1551 0.8718 0.7020
Na4 0.6551 0.1282 0.7980
Na5 0.5097 0.4384 0.8935
Na6 0.0097 0.5616 0.6065
Na7 0.4903 0.5616 0.1065
Na8 0.9903 0.4384 0.3935
Na9 0.0297 0.8121 0.3526
Na10 0.5297 0.1879 0.1474
Na11 0.9703 0.1879 0.6474
Na12 0.4703 0.8121 0.8526
Na13 0.1528 0.6167 0.9531
Na14 0.6528 0.3833 0.5469
Na15 0.8472 0.3833 0.0469
Na16 0.3472 0.6167 0.4531
Na17 0.0309 0.0704 0.1080
Na18 0.5309 0.9296 0.3920
Na19 0.9691 0.9296 0.8920
Na20 0.4691 0.0704 0.6080
Na21 0.9877 0.6773 0.1377
Na22 0.4877 0.3227 0.3623
Na23 0.0123 0.3227 0.8623
Na24 0.5123 0.6773 0.6377
In1 0.1489 0.3606 0.2086
In2 0.6489 0.6394 0.2914
In3 0.8511 0.6394 0.7914
In4 0.3511 0.3606 0.7086
In5 0.1376 0.1258 0.4578
In6 0.6376 0.8742 0.0422
In7 0.8624 0.8742 0.5422
In8 0.3624 0.1258 0.9578
Sb1 0.2386 0.3509 0.0381
Sb2 0.7386 0.6491 0.4619
Sb3 0.7614 0.6491 0.9619
Sb4 0.2614 0.3509 0.5381
Sb5 0.2415 0.1204 0.2912
Sb6 0.7415 0.8796 0.2088
Sb7 0.7585 0.8796 0.7088
Sb8 0.2585 0.1204 0.7912
Sb9 0.2181 0.5934 0.7735
Sb10 0.7181 0.4066 0.7265
Sb11 0.7819 0.4066 0.2265
Sb12 0.2819 0.5934 0.2735
Sb13 0.7285 0.1272 0.9781
Sb14 0.2285 0.8728 0.5219
Sb15 0.2715 0.8728 0.0219
Sb16 0.7715 0.1272 0.4781
# - E_form (meV/atom) = -440
# - calculated total energy (eV per atom) = -2.872



# BaSnN2 PBE-GGA relaxed
data_BaSnN2
_space_group_name_H-M_alt 'P 1'
_space_group_IT_number 1
_cell_length_a 4.1559
_cell_length_b 4.1559
_cell_length_c 8.5791
_cell_angle_alpha 90.00
_cell_angle_beta 90.00
_cell_angle_gamma 90.00
loop_
_space_group_symop_operation_xyz
'x,y,z'
loop_
_atom_site_label
_atom_site_fract_x
_atom_site_fract_y
_atom_site_fract_z
Ba1 0.7500 0.7500 0.1511
Ba2 0.2500 0.2500 0.8489
Sn1 0.7500 0.7500 0.6017
Sn2 0.2500 0.2500 0.3983
N1 0.7500 0.2500 0.5000
N2 0.2500 0.7500 0.5000
N3 0.7500 0.7500 0.8405
N4 0.2500 0.2500 0.1595
# - E_form (meV/atom) = -355
# - calculated total energy (eV per atom) = -5.825



# CuSnPd2 PBE-GGA relaxed
data_CuSnPd2
_space_group_name_H-M_alt 'P 1'
_space_group_IT_number 1
_cell_length_a 3.9420
_cell_length_b 12.3790
_cell_length_c 15.5915
_cell_angle_alpha 90.00
_cell_angle_beta 90.00
_cell_angle_gamma 90.00
loop_
_space_group_symop_operation_xyz
'x,y,z'
loop_
_atom_site_label
_atom_site_fract_x
_atom_site_fract_y
_atom_site_fract_z
Cu1 0.5000 0.5000 0.0000
Cu2 0.5000 0.5000 0.5000
Cu3 0.5000 0.5000 0.2478
Cu4 0.5000 0.5000 0.7522
Cu5 0.5000 0.1611 0.5000
Cu6 0.5000 0.8389 0.5000
Cu7 0.5000 0.0000 0.3760
Cu8 0.5000 0.0000 0.6240
Cu9 0.0000 0.1678 0.1252
Cu10 0.0000 0.8322 0.8748
Cu11 0.0000 0.8322 0.1252
Cu12 0.0000 0.1678 0.8748
Sn1 0.0000 0.0000 0.0000
........

After-all, if you felt stress and anxiety your body probably wouldn't have got to the stage of releasing all the physical signs?

It is always worth a follow-up with your GP, but I bet you have had stress in your life in recents weeks and months. Try and address that and diet, etc.

take care,

23-02-07, 11:34
Hi Jon

A warm welcome aboard and lovely to see you here. Please feel free to ask any questions you want to.

You will meet some lovely people and get loads of support and advice.

Have a good read of the website pages on the left of the screen for more advice on how to cope etc.

23-02-07, 11:53

welcome to the forum, you will get a lot of good advice here and make some new friends,

Take care

Trac xx

23-02-07, 13:28
Hi Jon

It sounds like classic anxiety to me, its horrible how it can make you feel, welcome to the site and you'll get a lot of great advice here.

Take care

shirley xx